White Collar Crime Worse than Mafia


Apr 3, 2005
Winchester Virginia
White Collar CEOs get worse sentences than the Mafia !!!

Cook the Books, Get Life in Prison: Is Justice Served?

By Carrie Johnson and Brooke A. Masters
Washington Post Staff Writers
Monday, September 25, 2006; A01

In the category of longest prison sentence, WorldCom Inc. founder Bernard J. Ebbers recently bested the organizer of an armed robbery, the leaders of a Bronx drug gang and the acting boss of the Gambino crime family.

Crystal structures, as found in the file =
~~~
For Pa2Tl2CrS6, a PBE-relaxed structure gives the simulated PXRD pattern in this record (Cu Kα (λ = 1.5418 Å)).
Peak positions follow from Bragg's law for the DFT cell and can differ from measured ones.

Structure:
Cell: 6.735 11.765 7.960 Å, 90.00 105.72 90.00°
Space group C2/m (No. 12)
Inequivalent atoms, fractional coordinates:
1 Pa 0.000 0.165 0.000 (multiplicity 4)
2 Tl 0.000 0.338 0.500 (multiplicity 4)
3 Cr 0.000 0.500 0.000 (multiplicity 2)
4 S 0.228 0.332 0.192 (multiplicity 8)
5 S 0.240 0.000 0.186 (multiplicity 4)

Largest 12 diffraction maxima, by intensity, 15 to 90 degrees two-theta:
30.55 deg, I 1000
27.49 deg, I 823
17.09 deg, I 493
30.93 deg, I 480
23.22 deg, I 471
41.31 deg, I 383
46.62 deg, I 320
21.58 deg, I 288
15.06 deg, I 265
52.45 deg, I 225
41.06 deg, I 198
56.72 deg, I 184
~~~

It was a contest Ebbers surely would have preferred to lose.

Tomorrow, the man who once swaggered through the halls of his telecommunications company as a cowboy-booted billionaire is scheduled to surrender to authorities and begin a 25-year sentence. Federal prison policies virtually ensure that Ebbers, who has a heart ailment, will spend the rest of his life in prison for his role in an $11 billion accounting fraud.

Ebbers, 65, is to report to prison on the same day that former Enron Corp. finance chief Andrew S. Fastow will be sentenced by a federal judge in Houston. Fastow, who secretly pocketed more than $45 million in a scheme to disguise mounting financial problems at the energy company, faces a maximum of 10 years in prison as part of his plea deal.

The length of Ebbers's sentence when compared with others touches on one of the most controversial parts of the American criminal justice system: How large a pound of flesh should society exact for serious white-collar crime? When the victims are diffuse, the crime complex and the injuries economic, what kind of punishment constitutes justice?

A top executive who gambles his fate at a trial nowadays risks what amounts to a life term for fraud that can involve as little as $2.5 million in losses, said University of Missouri law professor Frank Bowman. Crimes such as first-degree murder, high-level drug dealing and espionage trigger similar recommendations.

"That means you have to equate fiddling with the corporate books with first-degree murder or treason," Bowman said. "My own sense is that any sentence over 20 years for anybody for an economic crime is hard to justify."

Public revulsion over financial crimes that cost small investors billions of dollars has barely waned since prosecutors began to investigate a string of corporate scandals in late 2001. The death of convicted Enron founder Kenneth L. Lay in July induced profanity-laden outrage from shareholders who felt they had been "cheated" out of seeing Lay sent to prison. Federal prosecutors seized the mood, imploring Congress this month to pass legislation that would make it easier for them to recover $43.5 million from Lay's estate, a process that has been seriously complicated by his death.

The drive to exact punishment even beyond the grave is a sign of vindictiveness in public officials and shareholders, defense lawyers contend.

Reid H. Weingarten, a Washington-based lawyer for Ebbers, said in an e-mail that the judge in his case had public relations, not justice, in mind. "The purpose of the sentence was to please and appease the howling mob demanding Ebbers's head, not a worthy goal of the criminal justice system," he said.

Fastow, 44, assessed the prospect of spending decades behind bars after the government hit him with a 98-count indictment for serving as the architect of the Enron fraud. Prosecutors also accused Fastow of enlisting his wife and using the bank accounts of his two young sons to siphon money from the company undetected. Lea W. Fastow, indicted to pressure her husband to cooperate with investigators, pleaded guilty to a tax charge two years ago for underreporting income from his business partnerships. She served almost a year in a high-security prison.

As part of the couple's package deal, Andrew Fastow pleaded guilty, agreed to testify against Lay and former chief executive Jeffrey K. Skilling, and negotiated a substantial break in his prison term. Skilling, 52, was convicted of 19 criminal charges in May and faces decades in prison when he is sentenced next month.

Fordham University law professor Daniel Richman said shorter sentences in exchange for cooperation reflect the reality of white-collar investigations: Prosecutors must rely on tainted insiders to help convict higher-level executives. In this year's Enron trial, for example, lawyers for Skilling and Lay branded Fastow a liar, a thief and the person most responsible for Enron's collapse who avoided his just deserts by signing a deal with prosecutors.

"Sentences are the currency with which the government buys information," said Richman, a former federal prosecutor.

Not accepting a deal can be costly, as former mid-level Dynegy Inc. executive Jamie Olis, now 40, learned two years ago. Olis, who while growing up was physically abused by his mother's boyfriend and spent time in foster care before working his way through college, became a national symbol of inflexible sentencing policies. He lost his case and was sentenced to more than 24 years in prison -- despite the defense's presentation of his background -- for taking part in a $300 million accounting fraud. Olis's former boss at the energy company signed a plea agreement, testified against Olis and was sentenced to 15 months.

A federal appeals court last year threw out Olis's sentence, and a federal judge in Houston on Friday reduced it to six years. That means Olis is likely to spend about two more years in prison.

"Not every case is Enron, and not every white-collar offender is one of the smartest guys in the room," said Washington defense lawyer Barry Boss, referring to the name of a book and documentary film about the Enron scandal. "We're such a vindictive country."

But white-collar criminals are unusually sensitive to deterrence, according to prosecutors and securities regulators. The sight of colleagues in handcuffs, or signing away their homes and fortunes, sends a powerful message.

What's more, legal experts say, former executives do not deserve lighter treatment than drug dealers or burglars simply because they broke accounting rules or lied -- crimes that are harder to unravel and whose victims are more diffuse.

"You want people to understand that just because they're in high places, they make a lot of money and they can hire fabulous lawyers, that they're not going to walk away with a slap on the wrist," said former Securities and Exchange Commission chairman Harvey L. Pitt. "If you ask me, 'Did Bernie Ebbers destroy lives?' I would tell you that his conduct did."

Historically, white-collar criminals have not received long sentences. Probation was common even for crimes that involved large losses, and even the most famous defendants received sentences that by today's standards appear lenient. Junk-bond king Michael Milken was initially sentenced to 10 years on fraud charges, but a judge reduced the sentence to 33 months, and he was paroled after serving only two years.

That began to change in the mid-1990s, after policymakers expressed concern that punitive sentences for nonviolent drug crimes carried life sentences while white-collar criminals often skated. In 1994, financier Tom J. Billman, who bilked savings and loans of $25 million and fled the country, was sentenced to 40 years in prison. He served about 10 years before being paroled in 2005.

Sentences became even longer when parole was abolished in the federal system and sentencing guidelines were repeatedly amended to increase prison terms for white-collar crimes.

Were the WorldCom and Enron scandals to happen today, the sentences for Ebbers and Fastow might be even longer. Angry lawmakers enacted even tougher penalties for corporate fraud after those companies filed for bankruptcy protection. But the stiff new punishments apply only to people who committed crimes after 2002.

"On a personal level, you've got to feel for people" like Ebbers who will probably die in prison, said University of Texas law professor Henry T.C. Hu, "but overall I think the system's got it right."


House Member
Aug 28, 2006
I actually agree with this. Many of the "Mafia" types are more redeemable morally than Ebbers.

Many armed criminals had a choice between being unable to provide for a family and being wealthy at someone elses expense. While they made the wrong choice, it is understandable. You can put yourself in his shoes and though probably not understand how he got to the horrible moral state he's in, understand how he set his first step upon the wrong path without being a morally repulsive person (yet).

Ebbers on the other hand, was on top of the world. He had enough that he could have stopped working right there, and lived comfortabley with his family, children and even their children, without any of them having to work another day in their lives.

Misplaced data records.
........
No. 1
Structure and theoretical powder XRD pattern of Cs3Sb2I9 (a structure optimized by DFT (PBE); Cu Kα, 1.54184 Å).
Peak positions follow from Bragg's law for the DFT cell and can differ from measured ones.

Structure:
```
Cs3Sb2I9
1.0
8.6872 0.0000 0.0000
-4.3436 7.5233 0.0000
0.0000 0.0000 10.6035
Cs Sb I
3 2 9
Direct
0.0000 0.0000 0.0000
0.3333 0.6667 0.3257
0.6667 0.3333 0.6743
0.3333 0.6667 0.8154
0.6667 0.3333 0.1846
0.0000 0.5000 0.0000
0.1714 0.3428 0.6644
0.1714 0.8286 0.6644
0.3428 0.1714 0.3356
0.5000 0.0000 0.0000
0.5000 0.5000 0.0000
0.6572 0.8286 0.6644
0.8286 0.1714 0.3356
0.8286 0.6572 0.3356
```

The 10 most intense peaks (2θ = 10–80°), by angle:
2theta, I (rel.)
14.44, 13
25.14, 100
29.11, 96
41.63, 71
49.23, 35
49.33, 12
51.56, 19
68.30, 16
68.44, 15
75.92, 18

No. 2
Structure and theoretical powder XRD pattern of Cs2NaInI6 (a structure optimized by DFT (PBE); Cu Kα, 1.54184 Å).
Peak positions follow from Bragg's law for the DFT cell and can differ from measured ones.

Structure:
```
Cs2NaInI6
1.0
0.0000 6.1408 6.1408
6.1408 0.0000 6.1408
6.1408 6.1408 0.0000
Cs Na In I
2 1 1 6
Direct
0.2500 0.2500 0.2500
0.7500 0.7500 0.7500
0.0000 0.0000 0.0000
0.5000 0.5000 0.5000
0.2596 0.2596 0.7404
0.2596 0.7404 0.2596
0.2596 0.7404 0.7404
0.7404 0.2596 0.2596
0.7404 0.2596 0.7404
0.7404 0.7404 0.2596
```

The 10 most intense peaks (2θ = 10–80°), by angle:
2theta, I (rel.)
12.48, 13
25.12, 100
29.08, 90
41.60, 67
49.21, 45
51.56, 23
60.29, 11
66.35, 18
68.31, 29
75.91, 21

No. 3
Structure and theoretical powder XRD pattern of K2NaGaAs2 (a structure optimized by DFT (PBE); Cu Kα, 1.54184 Å).
Peak positions follow from Bragg's law for the DFT cell and can differ from measured ones.

Structure:
```
K2NaGaAs2
1.0
-3.4006 7.5339 3.3274
3.4006 -7.5339 3.3274
3.4006 7.5339 -3.3274
K Na Ga As
4 2 2 4
Direct
0.1729 0.2449 0.4178
0.3271 0.7449 0.0719
0.6729 0.2551 0.9281
0.8271 0.7551 0.5822
0.2500 0.2500 0.0000
0.7500 0.7500 0.0000
0.2500 0.7500 0.5000
0.7500 0.2500 0.5000
0.0948 0.7021 0.7969
0.4052 0.2021 0.6073
0.5948 0.7979 0.3927
0.9052 0.2979 0.2031
```

The 10 most intense peaks (2θ = 10–80°), by angle:
2theta, I (rel.)
11.75, 83
14.29, 69
22.10, 32
26.79, 21
30.27, 100
35.57, 49
36.01, 56
37.83, 80
49.54, 23
52.24, 26

No. 4
Structure and theoretical powder XRD pattern of K3Os (a structure optimized by DFT (PBE); Cu Kα, 1.54184 Å).
Peak positions follow from Bragg's law for the DFT cell and can differ from measured ones.

Structure:
```
K3Os
1.0
8.2852 0.0000 0.0000
0.0000 8.2852 0.0000
0.0000 0.0000 8.2852
K Os
12 4
Direct
0.0000 0.0000 0.0000
0.0000 0.5000 0.5000
0.2500 0.2500 0.2500
0.2500 0.2500 0.7500
0.2500 0.7500 0.2500
0.2500 0.7500 0.7500
0.5000 0.0000 0.5000
0.5000 0.5000 0.0000
0.7500 0.2500 0.2500
0.7500 0.2500 0.7500
0.7500 0.7500 0.2500
0.7500 0.7500 0.7500
0.0000 0.0000 0.5000
0.0000 0.5000 0.0000
0.5000 0.0000 0.0000
0.5000 0.5000 0.5000
```

The 10 most intense peaks (2θ = 10–80°), by angle:
2theta, I (rel.)
18.55, 47
........

But he decided that more than he could ever need wasn't enough, so he decided to destroy the lives of tens of thousands of people who struggled and worked hard for all they had, so that he could have more than enough for three generations, and then some...and then alot of some.

And there is no point where you can go "I understand why he started on the path to ruin", but it was just sheer black-heartedness, pure greed and lack of empathy for the plight of others.


Council Member
Jun 27, 2004
Longer sentences for corporate heads who commit crimes than for mafia types is fair because the corporate ones are in a position of trust, they are on the mainstream of our economy. As such, their adherance to law is essential for the entire nation's best inerests.

Corporations, having been given so many favours by government on the basis of creating good economic conditions, should be gratefull for what they have, which is lots, and not need to be breaking the laws of the land to sustain themselves. It is utterly outrageous greed.

The mafia types, on the other hand, operate at the fringes of society.

And thats why, jimmoyer, the corporate criminals get longer sentences.

Golly I am clever.


Apr 3, 2005
Winchester Virginia
LOL, Karlin, I tend to agree with your clever

The Mafia knows its own evil status, but I think
these CEO types live in a bubble far removed from
plebian reality---which is why they're so surprised, miffed
and mystified by the mob-like anger and hanging
tree justice coming at them.


House Member
Nov 10, 2005
"... white-collar criminals are unusually sensitive to deterrence..."

This is enough for me. White collar criminal is a silly term IMO. A criminal is a criminal. They destroy more lives than some junkie who steals an ol lady's purse. Why shouldn't they go to jail?


Electoral Member
May 31, 2006
I agree, normally you would trust 'white collars'. When they break that 'trust' they gotta pay.